## Exercise
Now give back the lines further down from the one with "5.70177 1.20067" to the one with "-2.25896 -3.59142" with every line break kept.

## Material
-- begin --
Entry 1:
DFT (ωB97M-V/def2-TZVPD) results for a structure of composition C33H38AlFN9O3S.

## Properties
- highest occupied orbital energy (eV) = -5.5
- net charge = -1
- DFT total energy (eV) = -74541.4396
- LUMO (eV) = 2.25

Each line ends with the Löwdin charge.
Atoms and positions in Å:
C: -0.85699 -2.44071 3.59872  -0.176
Al: -0.46907 -1.66394 1.79793  0.324
C: 1.47187 -1.11851 1.74775  -0.314
N: 2.34155 -2.24378 2.20574  -0.082
C: -0.88452 -2.83156 0.19933  -0.294
C: 0.09328 -3.97901 -0.02810  -0.523
S: 0.42120 -5.10931 1.36350  0.980
C: -1.12425 -5.68993 1.88283  -0.697
N: -1.30211 -6.66101 2.71576  0.030
N: -2.67138 -6.74456 2.92961  0.027
C: -3.19997 -5.83547 2.20593  -0.205
O: -2.29311 -5.12257 1.51027  0.031
C: -1.65821 0.02175 1.52396  -0.297
O: -1.29337 1.11304 1.86990  0.009
N: -3.01026 0.01602 0.78385  0.118
C: -3.89972 -0.92176 1.18128  -0.599
O: -4.14782 -1.31532 2.27675  0.129
F: -4.59513 -1.40530 0.10018  0.045
H: -0.39757 -3.41439 3.76636  -0.019
H: -1.91520 -2.52894 3.83723  -0.017
H: -0.42824 -1.77839 4.35793  0.000
H: 1.81032 -0.81680 0.75351  0.032
H: 1.58148 -0.25313 2.41001  0.037
H: 3.10707 -1.88581 2.76416  0.037
H: 1.81984 -2.84683 2.83271  0.005
H: -0.77582 -2.19513 -0.68730  0.040
H: -1.90505 -3.19777 0.16428  0.032
H: 1.08513 -3.56461 -0.19453  0.061
H: -0.17223 -4.56680 -0.90495  0.056
H: -4.23499 -5.57794 2.09673  0.130
H: -2.87323 -0.03338 -0.21913  0.119
N: 0.45809 5.24389 -1.94187  0.038
C: 0.96107 4.04292 -1.65230  -0.156
C: 0.50278 3.24724 -0.61317  -0.058
C: -0.53316 3.72095 0.17711  -0.058
C: -1.06686 4.96720 -0.11478  -0.069
C: -0.54046 5.68353 -1.17773  -0.165
H: 1.77293 3.70629 -2.28946  0.097
H: 0.94474 2.27718 -0.42514  0.105
H: -0.91252 3.12481 0.99647  0.082
H: -1.87799 5.37704 0.47167  0.100
H: -0.93578 6.66133 -1.43444  0.098
N: -2.26738 -3.99975 6.28279  0.074
C: -2.53592 -3.23933 7.33856  -0.153
C: -3.67086 -3.38722 8.12338  -0.086
C: -4.57742 -4.38062 7.78783  -0.097
C: -4.31098 -5.17871 6.68734  -0.075
C: -3.14450 -4.94931 5.96969  -0.136
H: -1.80626 -2.46732 7.56077  0.103
H: -3.83868 -2.73687 8.97161  0.093
H: -5.47716 -4.52755 8.37257  0.097
H: -4.99006 -5.96448 6.38487  0.097
H: -2.90085 -5.55431 5.10186  0.080
N: 4.57791 1.86820 -1.97549  0.067
C: 5.55427 2.02540 -2.86488  -0.154
C: 6.35255 3.15761 -2.93888  -0.074
C: 6.11968 4.18516 -2.03975  -0.100
C: 5.10604 4.03679 -1.10688  -0.084
C: 4.36845 2.86145 -1.11521  -0.158
H: 5.70177 1.20067 -3.55379  0.102
H: 7.13176 3.23037 -3.68530  0.099
H: 6.71683 5.08843 -2.06730  0.102
H: 4.88515 4.81372 -0.38706  0.105
H: 3.56850 2.70682 -0.39952  0.099
N: 4.84166 7.98150 -5.43119  0.043
C: 3.59451 8.20061 -5.84259  -0.169
C: 2.47149 7.71978 -5.18595  -0.075
C: 2.64589 6.96611 -4.03516  -0.067
C: 3.93889 6.72986 -3.59605  -0.064
C: 4.99442 7.25620 -4.32517  -0.163
H: 3.49404 8.79227 -6.74667  0.097
H: 1.48248 7.93123 -5.56967  0.098
H: 1.79860 6.56775 -3.48788  0.075
H: 4.12403 6.14423 -2.70671  0.079
H: 6.01975 7.08969 -4.00998  0.095
N: -1.39762 -3.16306 -3.32560  0.074
C: -2.55195 -2.57412 -3.02390  -0.140
C: -3.60822 -2.45784 -3.91648  -0.068
C: -3.45687 -2.97718 -5.19168  -0.090
C: -2.25896 -3.59142 -5.52014  -0.083
C: -1.26656 -3.65809 -4.55303  -0.155
H: -2.63115 -2.18437 -2.01496  0.082
H: -4.52540 -1.97173 -3.61281  0.101
H: -4.25806 -2.90531 -5.91643  0.100
H: -2.09397 -4.01174 -6.50308  0.095
H: -0.31611 -4.13403 -4.77067  0.102

Entry 2:
DFT (ωB97M-V/def2-TZVPD) results for the molecule CH5N3O at a distorted geometry.

## Properties
- highest occupied orbital energy (eV) = -9.8
- net charge = 0
- DFT total energy (eV) = -7634.8305
- SMILES string = NNC(N)=O
- LUMO (eV) = 0.73

Each line ends with the natural charge from an NBO analysis.
Atoms and positions in Å:
N: 1.33563 -0.41923 0.04981  -0.663
N: 0.41551 0.79720 -0.10816  -0.520
C: -0.90028 0.38755 0.15459  0.756
N: -1.12615 -0.85186 -0.43037  -0.895
O: -1.77842 1.02088 0.65348  -0.624
H: 2.19008 0.02936 -0.40750  0.365
H: 1.52992 -0.49296 1.04843  0.352
-- stop --

## Written answer
H: 5.70177 1.20067 -3.55379  0.102
H: 7.13176 3.23037 -3.68530  0.099
H: 6.71683 5.08843 -2.06730  0.102
H: 4.88515 4.81372 -0.38706  0.105
H: 3.56850 2.70682 -0.39952  0.099
N: 4.84166 7.98150 -5.43119  0.043
C: 3.59451 8.20061 -5.84259  -0.169
C: 2.47149 7.71978 -5.18595  -0.075
C: 2.64589 6.96611 -4.03516  -0.067
C: 3.93889 6.72986 -3.59605  -0.064
C: 4.99442 7.25620 -4.32517  -0.163
H: 3.49404 8.79227 -6.74667  0.097
H: 1.48248 7.93123 -5.56967  0.098
H: 1.79860 6.56775 -3.48788  0.075
H: 4.12403 6.14423 -2.70671  0.079
H: 6.01975 7.08969 -4.00998  0.095
N: -1.39762 -3.16306 -3.32560  0.074
C: -2.55195 -2.57412 -3.02390  -0.140
C: -3.60822 -2.45784 -3.91648  -0.068
C: -3.45687 -2.97718 -5.19168  -0.090
C: -2.25896 -3.59142 -5.52014  -0.083